# 1
In2SnBr8: computed X-ray powder pattern (copper Kα), based on a DFT-relaxed cell (PBE, Alexandria).
Neutral-atom scattering factors, no anomalous dispersion.

Largest 12 diffraction maxima, by angle, 10° ≤ 2θ ≤ 80°:
2θ (°)	I/Imax	hkl
11.81	35	2 0 0
16.51	94	3 1 -1
17.24	31	1 1 -2
21.93	29	3 1 -3
23.09	30	2 2 -2
26.02	100	4 2 -2
26.45	27	4 0 -4
27.21	49	2 0 2
34.91	41	6 2 -4
38.36	38	0 4 0
40.92	59	6 2 0
46.41	48	4 2 -6

Cell and atoms:
Cell lengths 20.136, 9.390, 13.481 Å; angles 90.00, 131.91, 90.00 degrees
Space group C2/c (No. 15)
Unique sites:
In: 0.096 0.236 0.042 (multiplicity 8)
Sn: 0.000 0.492 0.250 (multiplicity 4)
Br: 0.067 0.289 0.679 (multiplicity 8)
Br: 0.105 0.252 0.240 (multiplicity 8)
Br: 0.152 0.002 0.038 (multiplicity 8)
Br: 0.170 0.455 0.034 (multiplicity 8)



# 2
InSnBr3: computed X-ray powder pattern (copper Kα), based on a DFT-relaxed cell (PBE, Alexandria).
Neutral-atom scattering factors, no anomalous dispersion.

Largest 12 diffraction maxima, by angle, 10° ≤ 2θ ≤ 80°:
2θ (°)	I/Imax	hkl
22.90	42	3 3 1
28.59	54	0 0 6
28.76	45	1 3 5
29.52	78	1 5 3
30.31	73	0 6 0
30.63	41	3 5 1
31.00	84	4 2 4
31.53	100	4 4 2
32.87	59	3 3 5
33.41	42	6 0 0
33.55	48	3 5 3
42.10	41	0 6 6

Cell and atoms:
Cell lengths 16.091, 17.707, 18.733 Å; angles 90.00, 90.00, 90.00 degrees
Space group Fmm2 (No. 42)
Unique sites:
In: 0.000 0.245 0.000 (multiplicity 8)
In: 0.190 0.161 0.262 (multiplicity 16)
In: 0.195 0.000 0.569 (multiplicity 8)
Sn: 0.000 0.000 0.119 (multiplicity 4)
Sn: 0.000 0.000 0.409 (multiplicity 4)
Sn: 0.000 0.152 0.760 (multiplicity 8)
Sn: 0.169 0.000 0.895 (multiplicity 8)
Sn: 0.250 0.250 0.036 (multiplicity 8)
Br: 0.000 0.000 0.557 (multiplicity 4)
Br: 0.000 0.000 0.932 (multiplicity 4)
Br: 0.000 0.193 0.252 (multiplicity 8)
Br: 0.116 0.000 0.235 (multiplicity 8)
Br: 0.126 0.169 0.866 (multiplicity 16)
Br: 0.132 0.120 0.062 (multiplicity 16)
Br: 0.143 0.000 0.752 (multiplicity 8)
Br: 0.147 0.110 0.424 (multiplicity 16)
Br: 0.147 0.179 0.633 (multiplicity 16)



# 3
In2SnBr4: computed X-ray powder pattern (copper Kα), based on a DFT-relaxed cell (PBE, Alexandria).
Neutral-atom scattering factors, no anomalous dispersion.

Largest 12 diffraction maxima, by angle, 10° ≤ 2θ ≤ 80°:
2θ (°)	I/Imax	hkl
10.64	32	0 0 2
18.85	42	1 1 2
20.97	34	0 2 0
22.35	55	1 1 3
23.01	37	2 0 0
24.32	42	1 0 4
31.13	35	1 1 5
31.32	51	2 2 0
32.31	51	0 0 6
34.24	64	0 2 5
35.52	57	1 3 2
40.03	100	3 1 3

Cell and atoms:
Cell lengths 7.731, 8.474, 16.623 Å; angles 90.00, 90.00, 90.00 degrees
Space group Pbca (No. 61)
Unique sites:
In: 0.009 0.091 0.149 (multiplicity 8)
Sn: 0.000 0.000 0.500 (multiplicity 4)
Br: 0.107 0.035 0.672 (multiplicity 8)
Br: 0.185 0.196 0.963 (multiplicity 8)



# 4
In2SnBr8: computed X-ray powder pattern (copper Kα), based on a DFT-relaxed cell (PBE, Alexandria).
Neutral-atom scattering factors, no anomalous dispersion.

Largest 12 diffraction maxima, by angle, 10° ≤ 2θ ≤ 80°:
2θ (°)	I/Imax	hkl
10.89	69	1 1 0
17.46	49	0 2 0
17.64	33	1 1 1
19.76	36	2 0 1
24.43	100	2 2 -1
25.93	35	0 0 2
26.72	39	3 1 1
32.58	38	2 2 -2
34.31	34	5 1 0
35.34	25	0 4 0
42.79	46	5 3 0
47.80	25	7 1 -1

Cell and atoms:
Cell lengths 13.677, 10.160, 6.952 Å; angles 90.00, 98.66, 90.00 degrees
Space group C2/m (No. 12)
Unique sites:
In: 0.204 0.000 0.158 (multiplicity 4)
Sn: 0.000 0.000 0.500 (multiplicity 2)
Br: 0.102 0.194 0.265 (multiplicity 8)
Br: 0.118 0.500 0.701 (multiplicity 4)
Br: 0.192 0.000 0.784 (multiplicity 4)



# 5
In4SnBr6: computed X-ray powder pattern (copper Kα), based on a DFT-relaxed cell (PBE, Alexandria).
Neutral-atom scattering factors, no anomalous dispersion.

Largest 12 diffraction maxima, by angle, 10° ≤ 2θ ≤ 80°:
2θ (°)	I/Imax	hkl
13.56	10	1 0 1
28.72	13	2 2 0
29.18	100	2 1 2
29.30	12	1 0 3
32.20	51	3 1 0
36.87	18	0 0 4
46.18	10	4 2 0
46.51	26	4 1 2
49.75	20	3 1 4
59.74	12	5 2 2
61.77	11	2 1 6
71.39	7	5 4 2

Cell and atoms:
Cell lengths 8.791, 8.791, 9.751 Å; angles 90.00, 90.00, 90.00 degrees

Please print the block further up from the line with "0.000 0.569" to the end without altering anything.

In: 0.195 0.000 0.569 (multiplicity 8)
Sn: 0.000 0.000 0.119 (multiplicity 4)
Sn: 0.000 0.000 0.409 (multiplicity 4)
Sn: 0.000 0.152 0.760 (multiplicity 8)
Sn: 0.169 0.000 0.895 (multiplicity 8)
Sn: 0.250 0.250 0.036 (multiplicity 8)
Br: 0.000 0.000 0.557 (multiplicity 4)
Br: 0.000 0.000 0.932 (multiplicity 4)
Br: 0.000 0.193 0.252 (multiplicity 8)
Br: 0.116 0.000 0.235 (multiplicity 8)
Br: 0.126 0.169 0.866 (multiplicity 16)
Br: 0.132 0.120 0.062 (multiplicity 16)
Br: 0.143 0.000 0.752 (multiplicity 8)
Br: 0.147 0.110 0.424 (multiplicity 16)
Br: 0.147 0.179 0.633 (multiplicity 16)



# 3
In2SnBr4: computed X-ray powder pattern (copper Kα), based on a DFT-relaxed cell (PBE, Alexandria).
Neutral-atom scattering factors, no anomalous dispersion.

Largest 12 diffraction maxima, by angle, 10° ≤ 2θ ≤ 80°:
2θ (°)	I/Imax	hkl
10.64	32	0 0 2
18.85	42	1 1 2
20.97	34	0 2 0
22.35	55	1 1 3
23.01	37	2 0 0
24.32	42	1 0 4
31.13	35	1 1 5
31.32	51	2 2 0
32.31	51	0 0 6
34.24	64	0 2 5
35.52	57	1 3 2
40.03	100	3 1 3

Cell and atoms:
Cell lengths 7.731, 8.474, 16.623 Å; angles 90.00, 90.00, 90.00 degrees
Space group Pbca (No. 61)
Unique sites:
In: 0.009 0.091 0.149 (multiplicity 8)
Sn: 0.000 0.000 0.500 (multiplicity 4)
Br: 0.107 0.035 0.672 (multiplicity 8)
Br: 0.185 0.196 0.963 (multiplicity 8)



# 4
In2SnBr8: computed X-ray powder pattern (copper Kα), based on a DFT-relaxed cell (PBE, Alexandria).
Neutral-atom scattering factors, no anomalous dispersion.

Largest 12 diffraction maxima, by angle, 10° ≤ 2θ ≤ 80°:
2θ (°)	I/Imax	hkl
10.89	69	1 1 0
17.46	49	0 2 0
17.64	33	1 1 1
19.76	36	2 0 1
24.43	100	2 2 -1
25.93	35	0 0 2
26.72	39	3 1 1
32.58	38	2 2 -2
34.31	34	5 1 0
35.34	25	0 4 0
42.79	46	5 3 0
47.80	25	7 1 -1

Cell and atoms:
Cell lengths 13.677, 10.160, 6.952 Å; angles 90.00, 98.66, 90.00 degrees
Space group C2/m (No. 12)
Unique sites:
In: 0.204 0.000 0.158 (multiplicity 4)
Sn: 0.000 0.000 0.500 (multiplicity 2)
Br: 0.102 0.194 0.265 (multiplicity 8)
Br: 0.118 0.500 0.701 (multiplicity 4)
Br: 0.192 0.000 0.784 (multiplicity 4)



# 5
In4SnBr6: computed X-ray powder pattern (copper Kα), based on a DFT-relaxed cell (PBE, Alexandria).
Neutral-atom scattering factors, no anomalous dispersion.

Largest 12 diffraction maxima, by angle, 10° ≤ 2θ ≤ 80°:
2θ (°)	I/Imax	hkl
13.56	10	1 0 1
28.72	13	2 2 0
29.18	100	2 1 2
29.30	12	1 0 3
32.20	51	3 1 0
36.87	18	0 0 4
46.18	10	4 2 0
46.51	26	4 1 2
49.75	20	3 1 4
59.74	12	5 2 2
61.77	11	2 1 6
71.39	7	5 4 2

Cell and atoms:
Cell lengths 8.791, 8.791, 9.751 Å; angles 90.00, 90.00, 90.00 degrees